Be Able to Name Real Differences Real Differences beyond just instruments and repertoires of song Recognize that presumptions formed over time in one style do not carry over to other styles Think of a way of worship as a “language” or “culture” Think of being able to participate well in it the same as being conversant in a language or able to live comfortably within a culture The goal: ourselves as leaders and people as worshipers are bi- lingual and multi-cultural 2
Some of the Real Differences Indirect, descriptive, respectful praise (T) vs. direct, personal, adoring praise (C) Praise in the third person (God is so….) (T) vs. direct affection for Jesus Christ (C) Less praise (T) vs. more praise (C) Heightened (T) vs. lessened (C) communal awareness Booked and less physically expressive (T) vs. unbooked and more expressive (C) Quick entrance to worship (T) vs. extended, musical entrance (C) These elements represent some of the differences of “pure” forms of “traditional” (T) and “contemporary” (C) worship. 3
********
C58H75F7O4 | ωB97M-V/def2-TZVPD

The geometry in XYZ format:
```
144
C58H75F7O4 ωB97M-V/def2-TZVPD
F 18.7761 17.9821 6.8877
C 18.7899 17.5227 8.1897
C 19.8486 16.6768 8.4779
C 20.0322 16.2045 9.7793
C 19.0746 16.5256 10.7336
C 17.9166 17.2810 10.3658
C 17.7558 17.8176 9.0908
H 20.5285 16.3827 7.7058
H 20.9175 15.6327 10.0983
H 19.1065 16.1276 11.7237
H 17.1419 17.4974 11.0726
H 16.9077 18.3542 8.7072
F 17.5839 14.5015 7.6386
C 18.1963 13.5543 8.4028
C 19.2782 12.8234 7.9123
C 19.8992 11.8990 8.7261
C 19.4091 11.5935 10.0140
C 18.2689 12.2677 10.4171
C 17.6703 13.2690 9.6356
H 19.6660 13.2063 6.9745
H 20.7241 11.2865 8.3330
H 19.8383 10.8128 10.5683
H 17.7737 11.9815 11.3427
H 16.7443 13.7930 9.9002
F 16.7764 8.4153 10.8150
C 16.2103 8.6549 12.0353
C 17.0581 9.2146 13.0340
C 16.5638 9.3589 14.3557
C 15.2478 8.9853 14.5677
C 14.4064 8.4951 13.5752
C 14.9258 8.2833 12.2912
H 18.0489 9.5104 12.7383
H 17.1052 9.8143 15.1638
H 14.8828 8.9652 15.5767
H 13.3790 8.1866 13.8372
H 14.2638 7.8709 11.4672
F 10.2204 16.5353 12.6282
C 11.1705 16.8719 13.5207
C 12.3178 16.1006 13.5898
C 13.2013 16.3955 14.6403
C 12.9161 17.4404 15.5049
C 11.8303 18.2716 15.3606
C 10.9342 17.9770 14.3464
H 12.4469 15.2416 12.9342
H 14.0198 15.7420 14.8718
H 13.5960 17.5994 16.2887
H 11.6350 19.0889 16.0510
H 10.0211 18.5434 14.2050
F 20.7633 10.3824 13.2524
C 20.4121 10.7806 14.4516
C 19.8091 12.0036 14.6432
C 19.4294 12.2487 15.9497
C 19.5476 11.2823 17.0019
C 20.1106 10.0468 16.7628
C 20.5865 9.8302 15.4485
H 19.7157 12.7156 13.8479
H 18.9787 13.2167 16.1340
H 19.1638 11.5825 17.9482
H 20.2316 9.3251 17.5505
H 21.0049 8.8727 15.0989
F 17.7772 14.7168 14.5955
C 16.8253 14.3345 13.6987
C 16.5013 12.9752 13.6409
C 15.4606 12.5849 12.7927
C 14.8204 13.5844 12.0381
C 15.1264 14.9238 12.1566
C 16.2056 15.3214 12.9711
H 16.9979 12.2885 14.2885
H 15.0739 11.5497 12.7100
H 14.0364 13.3231 11.2860
H 14.5428 15.6854 11.5886
H 16.5744 16.3675 13.1165
F 12.4123 13.2797 9.2146
C 12.8077 14.6054 9.3582
C 13.8746 15.0025 8.6002
C 14.2324 16.3620 8.5157
C 13.4795 17.2833 9.2670
C 12.5075 16.8217 10.1099
C 12.1312 15.4709 10.1562
H 14.3298 14.1907 8.0717
H 15.0545 16.7279 7.8857
H 13.6304 18.3490 9.2131
H 11.9101 17.4935 10.7205
H 11.3062 15.1634 10.7892
C 10.3256 20.2668 9.5969
C 10.9871 20.3550 10.9701
O 12.3606 20.4013 10.8100
C 13.0215 20.4617 12.1030
C 14.5014 20.7782 11.9473
H 10.7116 21.1266 9.0187
H 10.4870 19.3043 9.0181
H 9.2379 20.3149 9.7102
H 10.5432 21.2365 11.4684
H 10.6819 19.4278 11.5130
H 12.5426 21.2335 12.7335
H 12.9197 19.4983 12.6304
H 14.9688 20.9134 12.9400
H 14.5434 21.7216 11.4400
H 14.9854 19.9672 11.3974
C 16.8388 15.7939 19.1549
C 16.4875 15.1976 17.8020
O 15.8457 13.9191 18.0887
C 15.6165 13.1993 16.9078
C 15.1298 11.7922 17.1917
H 17.5549 15.1507 19.6759
H 17.1559 16.8260 19.0784
H 15.8919 15.8381 19.7355
H 15.7176 15.7355 17.2021
H 17.3592 15.0079 17.1783
H 14.8298 13.6903 16.3121
H 16.5095 13.1194 16.2682
H 14.1050 11.6940 17.4099
H 15.6837 11.2630 18.0304
********
Some of the Real Differences Overtly ritualized with culturally distinct practices (T) vs. subtly ritualized with culturally-appropriated practices (C) Sequential, one thing at a time (T) vs. cyclical, simultaneous (C) Delayed access to heaven (T) vs. immediate access to heaven (C) Expected virtues for a worshiper: patience/respect (T) vs. passion/intensity/intimacy (C) Maintenance and continuation (traditioning) (T) vs. novelty and creativity (contemporizing) (C) Different levels of reliance upon the immediacy of the Holy Spirit: less (T), more (C) 4
Why is Worship Style So Contentious? People want to participate in worship well but have varying capacities that fit some ways of worship easily but not others. An individual worship also wants worship to be meaningful to her or himself in a positive way. For some, factor in negative meanings for prior religious experience, including liturgical, that was disappointing. For some, the worship service itself is a symbol of some other concern. 5
Useful Bibliography Ruth & Lim, Lovin’ On Jesus: A Concise History of Contemporary Worship (Forthcoming, 2017) Scheer, The Art of Worship: A Musician’s Guide to Leading Modern Worship Cherry, The Worship Architect Plantinga & Rozeboom, Discerning the Spirits Witvliet, Worship Seeking Understanding (esp. “Soul Food for the People of God” and “Planning and Leading Worship as a Pastoral Task”) If you can find it, Ron Rienstra collections of “contemporary” services for seeing “contemporized” versions of four-fold order: Ten Service Plans for Contemporary Worship 6